Sopa de Ajo and Tortilla
In 2001, I studied abroad in Sevilla. I lived with una anciana (an old lady) named Maria Jesus Escobar Gil. This will probably be the only entry about her on the internet, so I'm going to make it a good one.
Between two parts of the text: records of crystals =
~~~
(1)
HoTmNO: relaxed, GGA-PBE.

```
HoTmNO
1.0
3.500 -1.323 1.162
0.640 3.973 2.596
-2.918 -3.024 5.348
N Tm Ho O
2 2 2 2
direct
0.000 0.439 0.662 N
0.000 0.939 0.338 N
0.000 0.939 0.667 Tm
0.000 0.439 0.333 Tm
0.500 0.438 0.836 Ho
0.500 0.938 0.164 Ho
0.500 0.438 0.180 O
0.500 0.938 0.820 O
```

Properties
- raw total energy (eV/atom) = -7.86
- SG = Pmma
- total moment (μB/atom) = 0.00
- relative energy among the computed polymorphs (meV per atom) = 92


(2)
HoTmNO: relaxed, GGA-PBE.

```
HoTmNO
1.0
4.339 0.000 0.000
0.000 4.339 0.000
0.000 0.000 7.788
O Ho N Tm
2 2 2 2
direct
0.250 0.750 0.000 O
0.750 0.250 0.000 O
0.750 0.750 0.906 Ho
0.250 0.250 0.094 Ho
0.750 0.750 0.422 N
0.250 0.250 0.578 N
0.250 0.750 0.500 Tm
0.750 0.250 0.500 Tm
```

Properties
- raw total energy (eV/atom) = -7.44
- SG = P4/nmm
- total moment (μB/atom) = 0.00
- relative energy among the computed polymorphs (meV per atom) = 502

* * * * *

# 1
This record from the Alexandria database describes an optimized crystal structure of K5CdAu2. The functional is PBE.

Unit cell a=10.449 b=10.449 c=10.449 alpha=129.88 beta=129.88 gamma=73.60
Element x y z (fractional)
K (0.000, 0.000, 0.000)
K (0.032, 0.532, 0.837)
K (0.195, 0.032, 0.500)
K (0.305, 0.805, 0.837)
K (0.468, 0.305, 0.500)
K (0.500, 0.500, 0.000)
K (0.532, 0.695, 0.500)
K (0.695, 0.195, 0.163)
K (0.805, 0.968, 0.500)
K (0.968, 0.468, 0.163)
Cd (0.250, 0.250, 0.000)
Cd (0.750, 0.750, 0.000)
Au (0.117, 0.383, 0.500)
Au (0.383, 0.883, 0.265)
Au (0.617, 0.117, 0.735)
Au (0.883, 0.617, 0.500)

Calculated volume: 656 Å³/cell
E_form: -1.5 eV per formula unit
Density: 3.6 Mg/m³

---

# 2
This record from the Alexandria database describes an optimized crystal structure of BaIn3Au. The functional is PBE.

Unit cell a=6.444 b=6.444 c=6.444 alpha=90.00 beta=90.00 gamma=90.00
Element x y z (fractional)
Ba (0.000, 0.000, 0.000)
In (0.000, 0.000, 0.500)
In (0.000, 0.500, 0.000)
In (0.500, 0.000, 0.000)
Au (0.500, 0.500, 0.500)

Calculated volume: 268 Å³/cell
E_form: 5.1 eV per formula unit
Density: 4.2 Mg/m³

---

# 3
This record from the Alexandria database describes an optimized crystal structure of BaZnRhF6. The functional is PBE.

Unit cell a=7.484 b=7.484 c=7.484 alpha=122.79 beta=121.10 gamma=86.67
Element x y z (fractional)
Ba (0.443, 0.193, 0.250)
Ba (0.557, 0.807, 0.750)
Zn (0.000, 0.500, 0.500)
Zn (0.500, 0.500, 0.000)
Rh (0.000, 0.000, 0.500)
Rh (0.000, 0.500, 0.000)
F (0.087, 0.837, 0.250)
F (0.144, 0.427, 0.296)
F (0.144, 0.847, 0.716)
F (0.293, 0.543, 0.750)
F (0.369, 0.153, 0.796)
F (0.369, 0.573, 0.216)
F (0.631, 0.427, 0.784)
F (0.631, 0.847, 0.204)
F (0.707, 0.457, 0.250)
F (0.856, 0.153, 0.284)
F (0.856, 0.573, 0.704)
F (0.913, 0.163, 0.750)

Energy relative to the elements, uncorrected: -2.3069 eV/atom
Calculated volume: 287 Å³/cell
Density: 4.9 Mg/m³

---

# 4
This record from the Alexandria database describes an optimized crystal structure of HfZrS2. The functional is PBE.
~~~
Maria Jesus, or Senora as I called her, and I formed a really close relationship that semester. I really need to write to her, but on the off chance she's not alive anymore, it would break my heart, so I haven't. But her birthday is coming up, so I really should send a card, just in case.
Anyhoo -- while I was there, I was fascinated watching her make comida Andaluz - stuff you think of when you think of Spain. I wrote some recipes down while watching her make them... in that way, even if she's not around anymore, her recipes will be... here are two, which I'm going to give you as written (which is basically as she went along cooking) recipes are as written, with recent commentary in bold:
1) Sopa de Ajo (Garlic Soup) (This looks like it's a recipe for 1-2 servings)
Heat 1/3 cup olive oil in a wok, and add 5 cloves diced garlic into the oil to fry for 15 seconds. Add 1 large hard roll (1-2 days old) (in Spain, we would get large...hard rolls about the size of two of my fists together) in slices and fry until the garlic is brown. Add (2C is crossed out and it looks like I added 1 L....unintellgible) agua) 1L of water and 2 chicken bullion cubes. Add sprig of mint. Boil. Don't stir a lot. (I remember the bread soaks up the bullion water and gets soggy and unappealing looking...) Add whole egg, boil, voila!
Unfortunately, the recipes as I took them down require knowledge of what things should look like... so... try by all means, and realize that no Spanish cooking is particularly pretty, at any time during the process. Including plating...
2) Tortilla Espanola
Peel 1 lb of potatoes, cut into strings. 1 med-lg onion, 1 cup 3/4 de oil. This means put 1 and 3/4 cups olive oil in a wok, and I guess, heat it. Salt potatoes fry potatoes till soft, not brown, add diced onion, fry. Then, after 5 mins, lower flame to low over fuego lento, y dejala hasta que esta tierna. When todo esta tierna, quite del aciete, y drain. After 5 minutes, lower flame to low, over a slow fire, and leave the potatoes and onions until they're soft. When everything is soft, take them out of the oil, and drain them. Crack and beat 2 eggs, cover 6" pan with oil and heat till just smoking. Add hot potatoes to eggs (not all) and smoosh around. Dump into pan and even out. Raise flame to medium-high. Move tortilla, always moving, edges will set. Turn down flame. Also smoosh edge down wil should bubble at sides. When slightly set, use pan lid, flip tortilla, and slide back into pan. Top must not have sides. I have no idea what (not all) means in the directions - maybe you don't add all the potatoes and onions to the eggs, just most of it? The pan should have a thick layer of oil in it, and after the egg and potato mixture is in and spread, shake the pan constantly for the first couple minutes so the tortilla doesn't stick. She would also keep tucking the edges down, into the hot oil, as they would tend to creep up. With respect to flipping she would use a spatula to ease the tortilla, set side down, out of the pan, and onto a flat pan-lid. I think you could use a plate, put another plate on top of it, flip the tortilla, and put the unset side down into the oil to finish off.